**Input:**
The following is a PBE+U calculation of an optimized crystal structure of Mn2Ag2F, from Alexandria.

abc: 3.7512 3.7512 14.6643
angles: 90.00 90.00 90.00
Space group I4/mmm (No. 139)
One atom of each set of equivalent atoms:
Mn (0.0000, 0.0000, 0.0999) x4
Ag (0.0000, 0.5000, 0.2500) x4
F (0.0000, 0.0000, 0.5000) x2

Properties
- energy above the most stable polymorph in this dataset (meV/atom) = 292
- size of the total moment (μB/f.u.) = 10.1

----------

Entry 1:
Compound: SrIn5
Source: the Alexandria database
Functional: GGA-PBE
Structure: relaxed Values from VASP.

```
&SYSTEM
  ibrav = 0, nat = 6, ntyp = 2
/
ATOMIC_SPECIES
In 114.82 In.upf
Sr 87.62 Sr.upf
CELL_PARAMETERS angstrom
-1.114 -5.570 -2.720
-0.597 -5.172 3.544
-5.631 -2.746 0.639
ATOMIC_POSITIONS crystal
In 0.625 0.126 0.625
In 0.625 0.625 0.126
In 0.250 0.250 0.250
In 0.126 0.625 0.625
In 0.625 0.625 0.625
Sr 0.000 0.000 0.000
```

Results
Spin magnetization: 0.00 μB per atom
Electronic total energy: -2.7275 eV per atom
Polymorph energy (0 for the lowest one): 52.9 meV/atom
DOS(E_F): 0.59 states/eV/atom
ΔH_f (0 K): -165 meV/atom

***

Entry 2:
Compound: NaPO4
Source: the Alexandria database
Functional: GGA-PBE
Structure: relaxed Values from VASP.

```
&SYSTEM
  ibrav = 0, nat = 72, ntyp = 3
/
ATOMIC_SPECIES
P 30.97 P.upf
Na 22.99 Na.upf
O 16.00 O.upf
CELL_PARAMETERS angstrom
-6.304 7.400 5.270
-4.839 -8.723 -4.772
1.045 -5.451 8.903
ATOMIC_POSITIONS crystal
P 0.772 0.617 0.516
P 0.117 0.272 0.984
P 0.383 0.228 0.484
P 0.320 0.680 0.500
P 0.180 0.820 0.000
P 0.680 0.320 0.500
P 0.820 0.180 0.000
P 0.617 0.772 0.516
P 0.272 0.117 0.984
P 0.228 0.383 0.484
P 0.728 0.883 0.016
P 0.883 0.728 0.016
Na 0.424 0.761 0.809
Na 0.576 0.239 0.191
Na 0.163 0.163 0.691
Na 0.261 0.924 0.691
Na 0.739 0.076 0.309
Na 0.663 0.663 0.809
Na 0.837 0.837 0.309
Na 0.924 0.261 0.691
Na 0.239 0.576 0.191
Na 0.761 0.424 0.809
Na 0.337 0.337 0.191
Na 0.076 0.739 0.309
O 0.277 0.094 0.541
O 0.664 0.226 0.391
O 0.472 0.724 0.439
O 0.836 0.274 0.891
O 0.651 0.651 0.463
O 0.091 0.255 0.843
O 0.061 0.660 0.694
O 0.164 0.726 0.109
O 0.053 0.553 0.750
O 0.224 0.972 0.061
O 0.447 0.947 0.250
O 0.849 0.849 0.963
O 0.660 0.061 0.694
O 0.553 0.053 0.750
O 0.336 0.774 0.609
O 0.840 0.439 0.194
O 0.245 0.409 0.343
O 0.528 0.276 0.561
O 0.255 0.091 0.843
O 0.909 0.745 0.157
O 0.972 0.224 0.061
O 0.776 0.028 0.939
O 0.755 0.591 0.657
O 0.406 0.223 0.041
O 0.349 0.349 0.537
O 0.774 0.336 0.609
O 0.409 0.245 0.343
O 0.226 0.664 0.391
O 0.939 0.340 0.306
O 0.439 0.840 0.194
O 0.274 0.836 0.891
O 0.276 0.528 0.561
O 0.094 0.277 0.541
O 0.726 0.164 0.109
O 0.591 0.755 0.657
O 0.028 0.776 0.939
O 0.160 0.561 0.806
O 0.906 0.723 0.459
O 0.777 0.594 0.959
O 0.723 0.906 0.459
O 0.745 0.909 0.157
O 0.151 0.151 0.037
O 0.340 0.939 0.306
O 0.947 0.447 0.250
O 0.594 0.777 0.959
O 0.724 0.472 0.439
O 0.561 0.160 0.806
O 0.223 0.406 0.041
```

Results
Spin magnetization: 0.00 μB per atom
Electronic total energy: -6.1508 eV per atom
Raw formation energy: -166.3 kJ/mol of atoms
Polymorph energy (0 for the lowest one): 94.5 meV/atom

***

Entry 3:
Compound: ReMo2Ru2
Source: the Alexandria database
Functional: GGA-PBE
Structure: relaxed Values from VASP.

```
&SYSTEM
  ibrav = 0, nat = 10, ntyp = 3
/
ATOMIC_SPECIES
Mo 95.94 Mo.upf
Ru 101.07 Ru.upf
Re 186.21 Re.upf
CELL_PARAMETERS angstrom
-0.329 -7.309 0.890
0.359 -0.906 -7.306
2.822 -0.109 0.152
ATOMIC_POSITIONS crystal
Mo 0.170 0.670 0.500
Mo 0.830 0.330 0.500
Mo 0.670 0.830 0.500
Mo 0.330 0.170 0.500
Ru 0.129 0.371 0.000
Ru 0.871 0.629 0.000
Ru 0.629 0.129 0.000
Ru 0.371 0.871 0.000
Re 0.500 0.500 0.000
Re 0.000 0.000 0.000
```

Results
Spin magnetization: 0.00 μB per atom
Electronic total energy: -10.2515 eV per atom
DOS(E_F): 1.06 states/eV/atom
ΔH_f (0 K): 281 meV/atom

***

Entry 4:
Compound: U2GaRh
Source: the Alexandria database
Functional: GGA-PBE
Structure: relaxed Values from VASP.

```
&SYSTEM
  ibrav = 0, nat = 4, ntyp = 3
/
ATOMIC_SPECIES
U 238.03 U.upf
**Exercise:**
Now return all of the calculation results earlier on verbatim.
**Reply:**
The following is a PBE+U calculation of an optimized crystal structure of Mn2Ag2F, from Alexandria.

abc: 3.7512 3.7512 14.6643
angles: 90.00 90.00 90.00
Space group I4/mmm (No. 139)
One atom of each set of equivalent atoms:
Mn (0.0000, 0.0000, 0.0999) x4
Ag (0.0000, 0.5000, 0.2500) x4
F (0.0000, 0.0000, 0.5000) x2

Properties
- energy above the most stable polymorph in this dataset (meV/atom) = 292
- size of the total moment (μB/f.u.) = 10.1

----------

Entry 1:
Compound: SrIn5
Source: the Alexandria database
Functional: GGA-PBE
Structure: relaxed Values from VASP.

```
&SYSTEM
  ibrav = 0, nat = 6, ntyp = 2
/
ATOMIC_SPECIES
In 114.82 In.upf
Sr 87.62 Sr.upf
CELL_PARAMETERS angstrom
-1.114 -5.570 -2.720
-0.597 -5.172 3.544
-5.631 -2.746 0.639
ATOMIC_POSITIONS crystal
In 0.625 0.126 0.625
In 0.625 0.625 0.126
In 0.250 0.250 0.250
In 0.126 0.625 0.625
In 0.625 0.625 0.625
Sr 0.000 0.000 0.000
```

Results
Spin magnetization: 0.00 μB per atom
Electronic total energy: -2.7275 eV per atom
Polymorph energy (0 for the lowest one): 52.9 meV/atom
DOS(E_F): 0.59 states/eV/atom
ΔH_f (0 K): -165 meV/atom

***

Entry 2:
Compound: NaPO4
Source: the Alexandria database
Functional: GGA-PBE
Structure: relaxed Values from VASP.

```
&SYSTEM
  ibrav = 0, nat = 72, ntyp = 3
/
ATOMIC_SPECIES
P 30.97 P.upf
Na 22.99 Na.upf
O 16.00 O.upf
CELL_PARAMETERS angstrom
-6.304 7.400 5.270
-4.839 -8.723 -4.772
1.045 -5.451 8.903
ATOMIC_POSITIONS crystal
P 0.772 0.617 0.516
P 0.117 0.272 0.984
P 0.383 0.228 0.484
P 0.320 0.680 0.500
P 0.180 0.820 0.000
P 0.680 0.320 0.500
P 0.820 0.180 0.000
P 0.617 0.772 0.516
P 0.272 0.117 0.984
P 0.228 0.383 0.484
P 0.728 0.883 0.016
P 0.883 0.728 0.016
Na 0.424 0.761 0.809
Na 0.576 0.239 0.191
Na 0.163 0.163 0.691
Na 0.261 0.924 0.691
Na 0.739 0.076 0.309
Na 0.663 0.663 0.809
Na 0.837 0.837 0.309
Na 0.924 0.261 0.691
Na 0.239 0.576 0.191
Na 0.761 0.424 0.809
Na 0.337 0.337 0.191
Na 0.076 0.739 0.309
O 0.277 0.094 0.541
O 0.664 0.226 0.391
O 0.472 0.724 0.439
O 0.836 0.274 0.891
O 0.651 0.651 0.463
O 0.091 0.255 0.843
O 0.061 0.660 0.694
O 0.164 0.726 0.109
O 0.053 0.553 0.750
O 0.224 0.972 0.061
O 0.447 0.947 0.250
O 0.849 0.849 0.963
O 0.660 0.061 0.694
O 0.553 0.053 0.750
O 0.336 0.774 0.609
O 0.840 0.439 0.194
O 0.245 0.409 0.343
O 0.528 0.276 0.561
O 0.255 0.091 0.843
O 0.909 0.745 0.157
O 0.972 0.224 0.061
O 0.776 0.028 0.939
O 0.755 0.591 0.657
O 0.406 0.223 0.041
O 0.349 0.349 0.537
O 0.774 0.336 0.609
O 0.409 0.245 0.343
O 0.226 0.664 0.391
O 0.939 0.340 0.306
O 0.439 0.840 0.194
O 0.274 0.836 0.891
O 0.276 0.528 0.561
O 0.094 0.277 0.541
O 0.726 0.164 0.109
O 0.591 0.755 0.657
O 0.028 0.776 0.939
O 0.160 0.561 0.806
O 0.906 0.723 0.459
O 0.777 0.594 0.959
O 0.723 0.906 0.459
O 0.745 0.909 0.157
O 0.151 0.151 0.037
O 0.340 0.939 0.306
O 0.947 0.447 0.250
O 0.594 0.777 0.959
O 0.724 0.472 0.439
O 0.561 0.160 0.806
O 0.223 0.406 0.041
```

Results
Spin magnetization: 0.00 μB per atom
Electronic total energy: -6.1508 eV per atom
Raw formation energy: -166.3 kJ/mol of atoms
Polymorph energy (0 for the lowest one): 94.5 meV/atom

***

Entry 3:
Compound: ReMo2Ru2
Source: the Alexandria database
Functional: GGA-PBE
Structure: relaxed Values from VASP.

```
&SYSTEM
  ibrav = 0, nat = 10, ntyp = 3
/
ATOMIC_SPECIES
Mo 95.94 Mo.upf
Ru 101.07 Ru.upf
Re 186.21 Re.upf
CELL_PARAMETERS angstrom
-0.329 -7.309 0.890
0.359 -0.906 -7.306
2.822 -0.109 0.152
ATOMIC_POSITIONS crystal
Mo 0.170 0.670 0.500
Mo 0.830 0.330 0.500
Mo 0.670 0.830 0.500
Mo 0.330 0.170 0.500
Ru 0.129 0.371 0.000
Ru 0.871 0.629 0.000
Ru 0.629 0.129 0.000
Ru 0.371 0.871 0.000
Re 0.500 0.500 0.000
Re 0.000 0.000 0.000
```

Results
Spin magnetization: 0.00 μB per atom
Electronic total energy: -10.2515 eV per atom
DOS(E_F): 1.06 states/eV/atom
ΔH_f (0 K): 281 meV/atom

***

Entry 4:
Compound: U2GaRh
Source: the Alexandria database
Functional: GGA-PBE
Structure: relaxed Values from VASP.

```
&SYSTEM
  ibrav = 0, nat = 4, ntyp = 3
/
ATOMIC_SPECIES
U 238.03 U.upf